P. 120
Unit 6: Library Finance
Adequate and continuous supply of funds is necessary to sustain library and information Notes
There are a number of sources like regular grants from parent organisations, ad hoc grants
from other organizations, grants from endowments, fees, subscriptions, sale of service,
etc., through which finance for libraries flows.
Libraries spend their funds on books and journals, salaries and allowances of their staff,
development of library, documentation and information services, building, equipment,
furniture, etc.
It is also necessary to estimate funds to be allocated to libraries. Three methods are generally
considered, viz., per capita method, proportional method, and method of details.
Libraries have, by and large, restricted their financial management to preparing a budget
and managing their operational fund to procure reading materials.
Most of the exercises of costing and cost benefit analysis are academic in nature and have
not led to any significant changes in decision making by librarians.
The economic theory of the library is still a little known phenomenon for many
A vast array of financial management techniques and tools is largely unexplored in the
library content.
6.6 Keywords
Breakeven Analysis: The point at which consumption expenditures have been just equal to
Capital Budgeting: A budget which mainly covers items of current revenue and expenditure.
Economics: It is descriptive and concerned with what is and what ought to be. It deals with the
relationship of inputs to output and eventually to supply, demand, markets, sales, prices, value,
utility, etc.
Elastic: Ability to recover readily from depression, adversity or the like.
Financial Estimation: Estimating the amount of money required for running the services of an
Estimation institution.
Financial Forecasting: It involves a systematic projection of expected actions of management in
Forecasting terms of financial statements, budgets etc. using past records, funds flow behaviours,
financial ratios and expected economic conditions in the industry and the firm.
Financial Management: An element of management dealing with acquisition, distribution and
Management utilisation of funds.
{
  "formula": "C65H62MoN3O4P2S3",
  "method": "ωB97M-V/def2-TZVPD",
  "multiplicity": 1,
  "largest_force_ev_per_a": 2.3,
  "total_energy_ev": -134005.56698,
  "charge": 1,
  "homo_energy_ev": [-9.2, -9.2],
  "elements": ["Mo", "C", "C", "N", "N", "C", "S", "S", "C", "C", "C", "C", "C", "C", "C", "C", "C", "C", "C", "C", "C", "O", "H", "H", "H", "H", "H", "H", "H", "H", "H", "H", "H", "H", "H", "H", "O", "P", "C", "P", "O", "C", "C", "C", "C", "C", "C", "C", "C", "C", "C", "C", "C", "C", "C", "C", "C", "C", "C", "C", "C", "C", "C", "C", "C", "H", "H", "H", "H", "H", "H", "H", "H", "H", "H", "H", "H", "H", "H", "H", "H", "H", "H", "H", "H", "H", "H", "C", "C", "C", "C", "C", "C", "C", "C", "H", "H", "H", "H", "H", "N", "S", "C", "C", "C", "C", "C", "C", "C", "C", "C", "C", "C", "C", "H", "H", "H", "H", "H", "H", "H", "H", "H", "H", "H", "C", "C", "O", "C", "C", "H", "H", "H", "H", "H", "H", "H", "H", "H", "H"],
So much for the quantum chemistry results
Library Expenditure: Money spent by a library on different heads such as purchase of reading
Expenditure materials, salaries and allowances, stationery, postage, furniture, equipment, etc.
Library Finance: Sources of financial flows and expenditures.
Library Income: Funds which accrue to a library from different sources such as grants, membership
fee, endowments, fines, service charges, sale of publications etc.
Macroeconomics: This is an industry and national level economic system with the objective of
maximising profit, e.g., Economics of information and information industry.
Microeconomics: This is concerned with the behaviour of individuals, firms and markets.